My Research: FAQ

Nigel Goldenfeld

What are your areas of research?

My research is mainly (but not exclusively) in areas related to biology, condensed matter physics, statistical physics and applied mathematics. I work closely with a number of other faculty both here and elsewhere, and both experimentalists and theorists. Some of my recent work has been in collaboration with Professors Carl Woese, Bruce Fouke, Gustavo Gioia, Jon Dantzig and Yoshi Oono and also the condensed matter experimental groups at Urbana and elsewhere. Key themes of my research are the emphasis on describing and predicting real experiments, the development of special tools to cope with systems spanning many disparate scales of space and time, the use of renormalization group methods, and the creative use of computers to augment pencil and paper thinking.

Please see my group's web site for more details of my current research activities and highlights of my past work.

How big is your group? Will I ever see you?

My group contains 4-5 students, and typically 1 or 2 postdocs. Sometimes I have senior visitors too. I keep my group small so that I can personally interact with my students as closely as possible.

Is funding available?

My research has been continuously funded by the National Science Foundation since 1985, as well as by grants from the Department of Energy and NASA. I do not seek or accept funding from overtly military agencies. I believe that students benefit from teaching, and so try to ensure that they spend some time being a TA, even though I have funds to support them.

What preparation should I have?

My research invariably involves a mixture of computational and analytical work. I do not generally use computers to do conceptually simple problems that happen to be complicated due to excessive realism. Instead, I try to use computers as a tool to uncover the qualitative properties and mathematical structure of problems. Prospective students must be comfortable with treating computational physics and analytical physics on an equal footing. The language of modern day condensed matter physics includes quantum field theory, statistical mechanics, fluid dynamics and partial differential equations. I hope that my students will learn these subjects as they embark on research. Although some basic knowledge is required, I believe that one should develop or learn skills on the job. I don't expect my students to "learn everything first, then apply it".

The most important preparation is to develop a sense of curiosity and fun. You cannot do physics without wanting to ask questions. It is almost certain that all the ideas I have about future research directions will not be right. So students must be prepared to face tough challenges. I always try to start off my students with what looks like a relatively simple problem, to gain confidence and get some results relatively quickly.

What should I read before joining your group?

(1) Applied mathematics.

== Unrelated to this piece: records of crystals ==
~~~
This record from Alexandria via LeMat-Bulk describes a crystal of CoP3 relaxed with PBEsol. The functional is SCAN.

Computed properties:
Fermi-level density of states ... 0.412 states/eV/atom
Energy relative to the elements ... 45.3 kJ per mole of atoms

```
data_CoP3
_cell_length_a 2.854
_cell_length_b 2.854
_cell_length_c 6.032
_cell_angle_alpha 90.00
_cell_angle_beta 90.00
_cell_angle_gamma 90.00
_space_group_name_H-M_alt 'P 4/m m m'
_space_group_IT_number 123
_space_group_name_Hall '-P 4 2'
loop_
_atom_site_label
_atom_site_type_symbol
_atom_site_fract_x
_atom_site_fract_y
_atom_site_fract_z
Co1 Co 0.000 0.000 0.000
P1 P 0.000 0.000 0.500
P2 P 0.500 0.500 0.216
```
~~~

Bender and Orszag, Advanced Mathematical Methods for Scientists and Engineers. Simply the best book in applied mathematics.  For our purposes, the parts in the last chapters on global asymptotics are most relevant: multiple scales, boundary layer theory, WKB, in short - singular perturbation theory methods.  Some of my work has been directed towards unifying these methods using renormalization group theory.   See my recent review article (described here) and our original paper on unifying singular perturbation theory.  Precursor to all these RG-related techniques is my book, and especially the standalone chapter 10.  This itself is a development of Barenblatt's book on scaling and asymptotics in nonequilibrium problems.

(2) Biology. 

Most biology books are awful, in my opinion. I find the subject difficult to learn, and you probably will also if you are attracted to the intellectual style of my work.  By far the nicest read is the Problems in Biology by Maynard Smith, written 20 years or so ago, but still very relevant.  The last chapters or so directly relate to my own research agenda.  Although written for the general public, he approaches biology from a physicist's perspective.  The other book I would recommend is Ptashne's Genetic Switch book, which describes modern gene regulation in a simple way without too much chemistry or jargon.  It cries out for mathematisation, which is really what is systems biology; the place to start there is Uri Alon's book.

(3) Mainstream physics.  I suggest you browse the web sites for my courses, which have some recommended books and brief descriptions.  You can get these from my home page.

## Misplaced data records
'''
A plane-wave DFT calculation with GGA+U was carried out for an optimized crystal structure of Ac2MnAs2O2.

## Properties
DOS(E_F) = 0.7 states/eV per cell
theoretical density = 7.526 g/cm³

a b c (Å): 4.3121 6.2911 7.0855
angles (deg): 58.72 72.28 69.96
Closest atoms and distances in Å follow each position.
Positions (direct):
O: 0.8083 0.2847 0.0988  1 Mn 2.08
O: 0.1917 0.7153 0.9012  1 Mn 2.08
Ac: 0.2041 0.3273 0.2645  3 O 2.46-2.50
As: 0.5295 0.2744 0.6666  1 As 2.57
Ac: 0.7959 0.6727 0.7355  3 O 2.46-2.50
Mn: 0.0000 0.0000 0.0000  2 O 2.08
As: 0.4705 0.7256 0.3334  1 As 2.57

---

A plane-wave DFT calculation with GGA+U was carried out for an optimized crystal structure of AcMnAsO.

## Properties
theoretical density = 6.885 g/cm³

a b c (Å): 4.3175 4.3175 11.4166
angles (deg): 79.10 79.10 60.00
Closest atoms and distances in Å follow each position.
Positions (direct):
Ac: 0.8801 0.8801 0.3596  4 O 2.47-2.58
O: 0.8061 0.8061 0.5818  4 Ac 2.47-2.58
Ac: 0.1199 0.1199 0.6404  4 O 2.47-2.58
Mn: 0.3047 0.3047 0.0859  4 As 2.63-2.75
Mn: 0.6953 0.6953 0.9141  4 As 2.63-2.75
As: 0.6131 0.6131 0.1606  4 Mn 2.63-2.75
O: 0.1939 0.1939 0.4182  4 Ac 2.47-2.58
As: 0.3869 0.3869 0.8394  4 Mn 2.63-2.75

---

Values for raw total energy, Ry/atom, ordered as above
-0.506, -0.517
'''

How long do your students take to graduate?

I try to have my students graduate in four years. If a student has a particular (e.g. personal) reason to want to stay a fifth year, I will try to accomodate that. Four years should be sufficient to get worthwhile scientific results, and attain enough scientific maturity to compete effectively in either the academic or real worlds.

What do your students do after they graduate?

So far, I have supervised 13 students to completion of Ph.D and 16 postdocs. Two students have left physics for other careers early on in their research. The students who completed a Ph.D all had the opportunity to do good postdocs (and were accepted for top choice postdoctoral positions), and some have chosen to go on to postdocs and research in physics or biology, but not all. One former student is raising his children and working on physics education, several others work on Wall Street, one has transitioned into science policy areas. Details are on my group's web site "people" page.

Updated by Nigel Goldenfeld
October 2021